Entries =
********
Compound: Ca2Fe
Source: Alexandria via LeMat-Bulk
Functional: PBE
Structure: relaxed

The space group is P-62m (No. 189) and the conventional cell measures 8.5850, 8.5850 and 3.9133 Å, with angles of 90.00, 90.00 and 120.00 degrees. The inequivalent atoms are Ca at (0.0000, 0.2576, 0.0000), Ca at (0.0000, 0.5973, 0.5000), Fe at (0.0000, 0.0000, 0.5000) and Fe at (0.3333, 0.6667, 0.0000).



Compound: CaFe3
Source: Alexandria via LeMat-Bulk
Functional: PBE
Structure: relaxed

The space group is P6_3/mmc (No. 194) and the conventional cell measures 5.8144, 5.8144 and 8.8056 Å, with angles of 90.00, 90.00 and 120.00 degrees. The inequivalent atoms are Ca at (0.0000, 0.0000, 0.0000), Ca at (0.3333, 0.6667, 0.2500), Fe at (0.0000, 0.5000, 0.0000) and Fe at (0.1982, 0.3965, 0.7500).



Compound: CaFe
Source: Alexandria via LeMat-Bulk
Functional: PBE
Structure: relaxed

The space group is Pm-3n (No. 223) and the conventional cell measures 8.0839, 8.0839 and 8.0839 Å, with angles of 90.00, 90.00 and 90.00 degrees. The inequivalent atoms are Ca at (0.0000, 0.2500, 0.5000) and Fe at (0.0000, 0.5000, 0.2500).



Compound: CaFe
Source: Alexandria via LeMat-Bulk
Functional: PBE
Structure: relaxed

The space group is Cm (No. 8) and the conventional cell measures 10.9868, 3.7930 and 7.0874 Å, with angles of 90.00, 98.97 and 90.00 degrees. The inequivalent atoms are Ca at (0.0000, 0.0000, 0.0000), Ca at (0.0574, 0.0000, 0.5635), Ca at (0.2955, 0.0000, 0.2492), Fe at (0.2163, 0.5000, 0.8763), Fe at (0.2800, 0.5000, 0.5839) and Fe at (0.3245, 0.0000, 0.7743).



Compound: CaFe3
Source: Alexandria via LeMat-Bulk
Functional: PBE
Structure: relaxed

The space group is Pm-3m (No. 221) and the conventional cell measures 3.9582, 3.9582 and 3.9582 Å, with angles of 90.00, 90.00 and 90.00 degrees. The inequivalent atoms are Ca at (0.0000, 0.0000, 0.0000) and Fe at (0.0000, 0.5000, 0.5000).



Compound: CaFe3
Source: Alexandria via LeMat-Bulk
Functional: PBE
Structure: relaxed

The space group is Cmmm (No. 65) and the conventional cell measures 5.3784, 8.5646 and 2.6043 Å, with angles of 90.00, 90.00 and 90.00 degrees. The inequivalent atoms are Ca at (0.0000, 0.0000, 0.0000), Fe at (0.0000, 0.5000, 0.0000) and Fe at (0.2500, 0.2500, 0.5000).



Compound: Ca2Fe
Source: Alexandria via LeMat-Bulk
Functional: PBE
Structure: relaxed

The space group is Cmcm (No. 63) and the conventional cell measures 3.7462, 25.0468 and 4.0164 Å, with angles of 90.00, 90.00 and 90.00 degrees. The inequivalent atoms are Ca at (0.0000, 0.0697, 0.2500), Ca at (0.0000, 0.1957, 0.7500) and Fe at (0.0000, 0.4753, 0.2500).



Compound: CaFe6
Source: Alexandria via LeMat-Bulk
Functional: PBE
Structure: relaxed

The space group is Im-3m (No. 229) and the conventional cell measures 6.0466, 6.0466 and 6.0466 Å, with angles of 90.00, 90.00 and 90.00 degrees. The inequivalent atoms are Ca at (0.0000, 0.0000, 0.0000) and Fe at (0.0000, 0.2500, 0.5000).



Compound: Ca3Fe
Source: Alexandria via LeMat-Bulk
Functional: PBE
Structure: relaxed

The space group is Pnma (No. 62) and the conventional cell measures 7.9726, 9.6596 and 6.5013 Å, with angles of 90.00, 90.00 and 90.00 degrees. The inequivalent atoms are Ca at (0.0373, 0.2500, 0.1254), Ca at (0.1749, 0.0609, 0.6511) and Fe at (0.1258, 0.7500, 0.4399).



Compound: CaFe
Source: Alexandria via LeMat-Bulk
Functional: PBE
Structure: relaxed

The space group is I4/mmm (No. 139) and the conventional cell measures 10.6316, 10.6316 and 3.8629 Å, with angles of 90.00, 90.00 and 90.00 degrees. The inequivalent atoms are Ca at (0.0000, 0.2662, 0.0000) and Fe at (0.2111, 0.2111, 0.5000).



Compound: CaFe
Source: Alexandria via LeMat-Bulk
Functional: PBE
Structure: relaxed

The space group is R-3m (No. 166, hexagonal axes) and the conventional cell measures 3.2383, 3.2383 and 14.4520 Å, with angles of 90.00, 90.00 and 120.00 degrees. The inequivalent atoms are Ca at (0.0000, 0.0000, 0.0000) and Fe at (0.0000, 0.0000, 0.5000).



Compound: CaFe4
********

What to do =
Reproduce the whole of the notes above verbatim.

Done =
Compound: Ca2Fe
Source: Alexandria via LeMat-Bulk
Functional: PBE
Structure: relaxed

The space group is P-62m (No. 189) and the conventional cell measures 8.5850, 8.5850 and 3.9133 Å, with angles of 90.00, 90.00 and 120.00 degrees. The inequivalent atoms are Ca at (0.0000, 0.2576, 0.0000), Ca at (0.0000, 0.5973, 0.5000), Fe at (0.0000, 0.0000, 0.5000) and Fe at (0.3333, 0.6667, 0.0000).



Compound: CaFe3
Source: Alexandria via LeMat-Bulk
Functional: PBE
Structure: relaxed

The space group is P6_3/mmc (No. 194) and the conventional cell measures 5.8144, 5.8144 and 8.8056 Å, with angles of 90.00, 90.00 and 120.00 degrees. The inequivalent atoms are Ca at (0.0000, 0.0000, 0.0000), Ca at (0.3333, 0.6667, 0.2500), Fe at (0.0000, 0.5000, 0.0000) and Fe at (0.1982, 0.3965, 0.7500).



Compound: CaFe
Source: Alexandria via LeMat-Bulk
Functional: PBE
Structure: relaxed

The space group is Pm-3n (No. 223) and the conventional cell measures 8.0839, 8.0839 and 8.0839 Å, with angles of 90.00, 90.00 and 90.00 degrees. The inequivalent atoms are Ca at (0.0000, 0.2500, 0.5000) and Fe at (0.0000, 0.5000, 0.2500).



Compound: CaFe
Source: Alexandria via LeMat-Bulk
Functional: PBE
Structure: relaxed

The space group is Cm (No. 8) and the conventional cell measures 10.9868, 3.7930 and 7.0874 Å, with angles of 90.00, 98.97 and 90.00 degrees. The inequivalent atoms are Ca at (0.0000, 0.0000, 0.0000), Ca at (0.0574, 0.0000, 0.5635), Ca at (0.2955, 0.0000, 0.2492), Fe at (0.2163, 0.5000, 0.8763), Fe at (0.2800, 0.5000, 0.5839) and Fe at (0.3245, 0.0000, 0.7743).



Compound: CaFe3
Source: Alexandria via LeMat-Bulk
Functional: PBE
Structure: relaxed

The space group is Pm-3m (No. 221) and the conventional cell measures 3.9582, 3.9582 and 3.9582 Å, with angles of 90.00, 90.00 and 90.00 degrees. The inequivalent atoms are Ca at (0.0000, 0.0000, 0.0000) and Fe at (0.0000, 0.5000, 0.5000).



Compound: CaFe3
Source: Alexandria via LeMat-Bulk
Functional: PBE
Structure: relaxed

The space group is Cmmm (No. 65) and the conventional cell measures 5.3784, 8.5646 and 2.6043 Å, with angles of 90.00, 90.00 and 90.00 degrees. The inequivalent atoms are Ca at (0.0000, 0.0000, 0.0000), Fe at (0.0000, 0.5000, 0.0000) and Fe at (0.2500, 0.2500, 0.5000).



Compound: Ca2Fe
Source: Alexandria via LeMat-Bulk
Functional: PBE
Structure: relaxed

The space group is Cmcm (No. 63) and the conventional cell measures 3.7462, 25.0468 and 4.0164 Å, with angles of 90.00, 90.00 and 90.00 degrees. The inequivalent atoms are Ca at (0.0000, 0.0697, 0.2500), Ca at (0.0000, 0.1957, 0.7500) and Fe at (0.0000, 0.4753, 0.2500).



Compound: CaFe6
Source: Alexandria via LeMat-Bulk
Functional: PBE
Structure: relaxed

The space group is Im-3m (No. 229) and the conventional cell measures 6.0466, 6.0466 and 6.0466 Å, with angles of 90.00, 90.00 and 90.00 degrees. The inequivalent atoms are Ca at (0.0000, 0.0000, 0.0000) and Fe at (0.0000, 0.2500, 0.5000).



Compound: Ca3Fe
Source: Alexandria via LeMat-Bulk
Functional: PBE
Structure: relaxed

The space group is Pnma (No. 62) and the conventional cell measures 7.9726, 9.6596 and 6.5013 Å, with angles of 90.00, 90.00 and 90.00 degrees. The inequivalent atoms are Ca at (0.0373, 0.2500, 0.1254), Ca at (0.1749, 0.0609, 0.6511) and Fe at (0.1258, 0.7500, 0.4399).



Compound: CaFe
Source: Alexandria via LeMat-Bulk
Functional: PBE
Structure: relaxed

The space group is I4/mmm (No. 139) and the conventional cell measures 10.6316, 10.6316 and 3.8629 Å, with angles of 90.00, 90.00 and 90.00 degrees. The inequivalent atoms are Ca at (0.0000, 0.2662, 0.0000) and Fe at (0.2111, 0.2111, 0.5000).



Compound: CaFe
Source: Alexandria via LeMat-Bulk
Functional: PBE
Structure: relaxed

The space group is R-3m (No. 166, hexagonal axes) and the conventional cell measures 3.2383, 3.2383 and 14.4520 Å, with angles of 90.00, 90.00 and 120.00 degrees. The inequivalent atoms are Ca at (0.0000, 0.0000, 0.0000) and Fe at (0.0000, 0.0000, 0.5000).



Compound: CaFe4